Langevin Warns of Fiscal Cliff Impact on Clean Energy Development

Dec 12, 2012 Issues: Budget, Energy, Environment

Continuing his push for a deal that averts the damaging effects of the fiscal cliff, Congressman Jim Langevin (D-RI) is highlighting the consequences for clean energy jobs in Rhode Island and nationwide if a balanced agreement is not reached. Speaking on the House floor today, Langevin specifically pointed out that investments in wind energy would be slashed through the expiration of the Production Tax Credit at the end of the year and potentially through the impact of automatic across the board cuts, known as sequestration, on research and development. He joined fellow members of the Sustainable Energy and Environment Coalition to advocate that any budget deal must recognize the significant economic benefits of having a robust clean energy industry.

• Someone pasted materials data at this point:
........
Compound: Pr5Cd4In
Source: the Alexandria database
Functional: PBE
Structure: optimized geometry

The space group is P4/mmm (No. 123) and the conventional cell measures 3.863, 3.863 and 19.710 Å, with angles of 90.00, 90.00 and 90.00 degrees. Symmetry generates all atoms from Pr at (0.000, 0.000, 0.000), Pr at (0.000, 0.000, 0.199), Pr at (0.000, 0.000, 0.399), Cd at (0.500, 0.500, 0.100), Cd at (0.500, 0.500, 0.298) and In at (0.500, 0.500, 0.500).

The formation energy comes out at -3.49 eV/f.u. Its total energy is -33.786 eV/f.u. Its size of the total moment is 1.3 μB per formula unit. Its density of states at the Fermi level is 13.1 states/eV/cell.

Compound: Pr3Cd5In2
Source: the Alexandria database
Functional: PBE
Structure: optimized geometry

The space group is C2/c (No. 15) and the conventional cell measures 12.286, 13.639 and 6.635 Å, with angles of 90.00, 103.28 and 90.00 degrees. Symmetry generates all atoms from Pr at (0.000, 0.025, 0.250), Pr at (0.110, 0.266, 0.072), Cd at (0.000, 0.497, 0.250), Cd at (0.148, 0.366, 0.564), Cd at (0.240, 0.044, 0.053) and In at (0.141, 0.160, 0.614).

The formation energy comes out at -2.92 eV/f.u. Its total energy is -27.309 eV/f.u. Its size of the total moment is 0.0 μB per formula unit. Its density of states at the Fermi level is 27.1 states/eV/cell.

Compound: Pr3Cd2In2
Source: the Alexandria database
Functional: PBE
Structure: optimized geometry

The space group is Cmmm (No. 65) and the conventional cell measures 4.831, 22.727 and 3.587 Å, with angles of 90.00, 90.00 and 90.00 degrees. Symmetry generates all atoms from Pr at (0.000, 0.000, 0.000), Pr at (0.000, 0.154, 0.000), Cd at (0.000, 0.284, 0.500) and In at (0.000, 0.423, 0.500).

The formation energy comes out at -2.80 eV/f.u. Its total energy is -24.441 eV/f.u. Its size of the total moment is 0.0 μB per formula unit. Its density of states at the Fermi level is 14.4 states/eV/cell.

Compound: Pr6Cd3In
Source: the Alexandria database
Functional: PBE
Structure: optimized geometry

The space group is P2_1/m (No. 11) and the conventional cell measures 9.657, 5.462 and 12.121 Å, with angles of 90.00, 107.32 and 90.00 degrees. Symmetry generates all atoms from Pr at (0.038, 0.250, 0.414), Pr at (0.159, 0.750, 0.176), Pr at (0.239, 0.250, 0.996), Pr at (0.339, 0.750, 0.803), Pr at (0.370, 0.250, 0.344), Pr at (0.407, 0.250, 0.626), Cd at (0.031, 0.750, 0.873), Cd at (0.111, 0.250, 0.714), Cd at (0.269, 0.750, 0.475) and In at (0.456, 0.750, 0.093).

The formation energy comes out at -2.64 eV/f.u. Its total energy is -36.802 eV/f.u. Its size of the total moment is 0.0 μB per formula unit. Its density of states at the Fermi level is 20.9 states/eV/cell.

Copy entry 1 word for word.
Compound: Pr5Cd4In
Source: the Alexandria database
Functional: PBE
Structure: optimized geometry
........

Langevin has strongly supported wind energy, recognizing the potential for Rhode Island to lead in this area and boost the state’s economy. He has advocated for the state to be the site of the nation’s first offshore wind farm and has previously worked to help renew the Production Tax Credit, which provides an income tax credit of 2.2 cents per kilowatt-hour for the production of electricity from utility-scale turbines.

Across the country, wind energy is one of the fastest growing drivers of new American manufacturing jobs, with the American Wind Energy Association reporting that more than 60 percent of all of the turbines installed in the U.S. are produced domestically, in large part due to the wind Production Tax Credit. Furthermore, median wage salaries are 13 percent higher in green energy careers than the economy average and the clean energy sector is growing at nearly double the rate of the overall economy.

Transcript of Langevin’s Speech:

“Mr. Speaker, impending budget cuts under sequestration pose a serious risk to America’s leadership in a variety of areas. The one in particular that I want to focus on today is the serious risk to America’s leadership on a clean energy economy, and to developing grid-scale energy infrastructure, made possible in part by the Production Tax Credit. These investments help to ensure our nation’s energy security and independence while spurring growth in a wind industry that supports over 70,000 jobs nationwide, including hundreds in Rhode Island.

“Mr. Speaker, Rhode Island receives seven percent of its state revenue from federal grants that are subject to sequestration. Unless averted by Congress, it could threaten the health of Rhode Island’s local economies and risk another national recession.

“I know we have difficult choices ahead, but if there is one mandate both parties can claim from the November elections, it is to solve our nation’s economic and fiscal challenges together. Although we may not agree on all aspects of a solution, we can all agree on the need to address the impending problem. The clock is ticking.”
